Wesley Koswara | Staff Writer

Over two thousand years ago, a Jewish peasant born in a backwater province of the Roman Empire began teaching a radically new idea—an idea completely opposed to the culture, ideology and most importantly the power structures of the time. This idea was rooted in the belief that what made a person great was not how much money they had, or how many titles or positions they were awarded or how much power they had amassed. What made a person great was their capacity to serve, even if that meant serving those materially or socially beneath them.

That command still resonates with people all around the world today. Whether the call to service leads one down the street to help middle school students get their homework done, or over oceans to build schools in remote villages, many have learned that the best way to empower themselves is found in empowering others.


Last year, Azusa Pacific sent 176 people on 23 trips all around the world, from Poland to India, Tanzania to China. Working in groups of anywhere from four to 12 people, and partnering with organizations already on the ground, students were immersed in new cultures and languages for as long as an entire month.

“The overarching goal is to have students encounter a different way of life, a different culture, a different way of experiencing God,” said Laurelyn Shaw, senior program coordinator at the Center for Student Action (CSA).

Through service, the CSA hopes to broaden its participants’ perspectives and equip them for service through the rest of their lives. Student leaders are given both the tools and leeway to build their own teams and develop a vision for what they want their trip to look like, months before team applications begin. With so many different countries and worldviews being introduced, culture-specific training for each team becomes infeasible, so teams are encouraged to conduct their own research. “We’re also helping the students develop a mindset, or a posture, of learning and humility as they go in—so that they go in prepared to learn from this host culture and be ready to do whatever is asked of them, because clearly you never know what is going to happen,” Shaw said. “You can train for one thing and then arrive, and something completely different happens.”

What comes next are records of molecules, not part of the piece:
/*
No. 1
This record from the Open Molecules 2025 dataset describes C26H64ClFIN3NbO12S3 as an isolated structure. The level of theory is wB97M-V/def2-TZVPD.

```
112
C26H64ClFIN3NbO12S3 wB97M-V/def2-TZVPD
N 1.35116 2.47140 4.38978
C 0.96137 1.19566 3.74135
Nb 2.16191 0.55376 1.89477
Cl 3.93997 -0.15093 3.41727
C 3.56588 0.11083 0.16747
C 3.94239 -1.36043 0.00880
C 3.14097 -2.20384 -0.98663
I 2.38537 -1.25403 -2.73699
C 1.30762 -1.49040 2.10950
C 0.41848 -1.95869 0.94848
C 0.23581 -3.48486 0.94783
C 0.02981 -4.11210 -0.43927
S -0.85726 -3.05145 -1.60049
C 0.17830 -3.24828 -2.96686
N 1.23566 -3.98143 -3.11290
N 1.71969 -3.68817 -4.38122
C 0.92621 -2.80758 -4.88387
O -0.09368 -2.49555 -4.04722
C 0.57179 1.09947 0.48109
C 0.48423 2.52811 -0.08564
C -0.77799 3.25262 0.38279
C -1.04226 4.48738 -0.48248
S -2.37043 4.29320 -1.62980
O -2.21457 5.26608 -2.66499
O -2.52940 2.93693 -2.03219
O -3.65753 4.69911 -0.76642
S 3.26640 2.94949 1.89097
O 4.36588 3.05893 2.80688
O 3.64878 3.22817 0.52080
F 2.22675 4.19079 2.22590
H 0.85441 3.22881 3.93783
H 1.01930 2.50012 5.34900
H 1.20207 0.40396 4.44726
H -0.11754 1.10503 3.56143
H 4.47860 0.66167 0.37791
H 3.13931 0.59563 -0.70399
H 4.99142 -1.41734 -0.27127
H 3.88817 -1.90938 0.94664
H 2.30418 -2.69786 -0.51789
H 3.76139 -3.00786 -1.36006
H 0.69238 -1.48499 3.01200
H 2.07200 -2.23191 2.31831
H -0.57158 -1.52662 1.05271
H 0.82505 -1.68364 -0.01664
H 1.13850 -3.94808 1.33454
H -0.57507 -3.76277 1.61297
H -0.55474 -5.02030 -0.34178
H 0.97045 -4.41512 -0.87657
H 1.02383 -2.35293 -5.84464
H -0.37212 0.85077 0.96939
H 0.63278 0.40504 -0.35497
H 1.34273 3.16242 0.10115
H 0.38612 2.46295 -1.16802
H -0.71406 3.52987 1.42820
H -1.59163 2.55390 0.21590
H -0.17838 4.80094 -1.05483
H -1.32313 5.31875 0.15757
H -3.36210 5.21834 -0.00860
C -1.78519 1.13732 8.26129
C -1.67162 1.09361 6.74691
O -1.42034 -0.21860 6.27100
H -0.87085 0.75805 8.71818
H -1.95866 2.15545 8.61537
H -2.61029 0.50774 8.60354
H -0.83926 1.70918 6.40915
H -2.58925 1.48196 6.28739
H -2.14881 -0.79404 6.53272
C 3.32709 -1.83537 -7.16349
C 4.09961 -3.05041 -6.67843
O 3.67718 -3.45814 -5.38864
H 3.44668 -1.00943 -6.46239
H 3.67154 -1.51407 -8.14896
H 2.25917 -2.06053 -7.22614
H 5.16131 -2.81973 -6.59808
H 3.98384 -3.88153 -7.38688
H 2.73690 -3.67404 -5.42726
C 2.16475 -3.52816 -9.84076
C 2.96302 -3.52604 -8.54934
O 2.12803 -3.66869 -7.40349
H 1.42931 -2.72337 -9.83295
H 2.81642 -3.39893 -10.70609
H 1.62170 -4.46909 -9.95658
H 3.49024 -2.58083 -8.42781
H 3.70547 -4.33111 -8.55923
H 1.66210 -4.50698 -7.47398
C 0.75066 7.80609 2.53668
C -0.28005 7.96647 1.43531
O -1.51739 7.33864 1.78904
H 0.92855 6.75022 2.74070
H 1.69741 8.27016 2.25931
H 0.39825 8.26710 3.46335
H 0.06388 7.48976 0.51911
H -0.46039 9.02578 1.22457
H -1.83177 7.75904 2.59386
C -3.58664 -2.38122 3.22017
C -2.39824 -2.29207 4.15798
O -2.77227 -2.53573 5.52020
H -4.35155 -1.65985 3.50775
H -3.28958 -2.17633 2.19158
H -4.04345 -3.37533 3.25661
H -1.96799 -1.29479 4.12168
H -1.62477 -3.01105 3.86822
*/

A debriefing is held for each team after returning from their work with the host organizations and local communities, with students reflecting on the experience they’ve gained and the lessons they’ve learned. Emphasis throughout the experience is put on teaching skills and attitudes towards service and towards others to be carried on long after the trips are over.

“Going to another location where the need is greater, or maybe more obvious, you feel like ‘There’s a place for me. I could do something here, and I want to do something here.’ I feel like that’s been empowering for the students,” Shaw said.


Team Eliazim on day two of service, playing with the news toys the team raised funds for. Photo Credit: Christine Khoury

Team Eliazim on day two of service, playing with the news toys the team raised funds for. Photo Credit: Christine Khoury

Attached: calculated molecules:
Record 1
22
Properties=species:S:1:pos:R:3:forces:R:3 method="wB97M-V/def2-TZVPD" e_lumo_ha=0.03884 de_lowest_ev=1.660 gap_ev=9.8 total_charge=0 smiles="C=CC[C@H](C)NCN" total_energy_ev=-9427.82392
C 0.3715 -1.9059 0.3911 -0.231 -1.512 -0.457
C 0.2274 -0.3912 0.4753 -0.543 -0.531 0.460
C 1.2480 0.3097 -0.4300 0.296 -0.178 -0.256
C 1.7324 1.6336 0.0891 0.434 0.917 0.114
C 2.4023 1.8333 1.2220 -0.090 -1.048 -0.042
N -1.1916 -0.0186 0.2969 1.149 -0.369 0.006
C -1.8041 -0.4566 -0.9491 -1.947 0.941 1.107
N -3.2703 -0.1153 -0.8550 1.646 -1.010 -0.859
H 0.4939 -2.2752 -0.6357 0.208 0.245 0.044
H 1.1731 -2.3586 0.9844 0.353 0.654 -0.171
H -0.4836 -2.4903 0.7462 -0.348 0.620 0.126
H 0.5154 -0.1587 1.5065 -0.280 0.344 -0.100
H 2.0587 -0.4150 -0.5486 0.383 0.318 0.264
H 0.9422 0.4622 -1.4708 -0.582 -0.178 0.214
H 1.5372 2.5016 -0.5375 0.078 -0.070 -0.081
H 2.5577 0.9725 1.8630 0.182 -0.087 0.118
H 2.8824 2.7316 1.5770 -0.377 0.371 -0.264
H -1.3316 0.9584 0.5208 -0.086 0.070 -0.391
H -1.5030 0.0420 -1.8782 0.585 -0.202 0.046
H -1.6718 -1.5288 -1.0099 0.096 -0.148 -0.226
H -3.5290 -0.0034 0.1186 -0.086 0.448 -0.331
H -3.3569 0.6727 -1.4763 -0.841 0.406 0.679

Record 2
22
Properties=species:S:1:pos:R:3:forces:R:3 method="wB97M-V/def2-TZVPD" e_lumo_ha=0.03531 de_lowest_ev=1.241 gap_ev=9.6 total_charge=0 smiles="C/C(N)=C/CCCN" total_energy_ev=-9428.24336
C -1.4300 -0.5659 2.2443 -0.246 -0.833 0.302
C -1.0500 -1.1528 0.8811 -0.112 -0.150 0.223
C -0.6893 -0.0591 -0.1552 0.038 0.254 1.725
N 0.8472 0.8239 -2.6260 0.129 -1.133 1.238
C 1.4593 0.3723 -1.3568 0.816 0.462 -1.992
C 0.8066 0.1289 -0.2317 -0.290 -0.581 -0.966
C 2.9547 0.2723 -1.5850 -0.515 0.414 0.780
N -2.6542 0.2211 2.1764 -0.291 0.609 -0.125
H -0.5820 -0.0514 2.7046 -0.044 0.440 -0.281
H -1.6356 -1.3816 2.9503 0.200 -0.167 -0.215
H -0.2595 -1.8920 1.0296 0.284 0.237 -0.118
H -1.8740 -1.7701 0.5102 -0.232 0.229 0.069
H -1.1036 0.8637 0.2705 -0.223 0.049 -0.306
H -1.2521 -0.2711 -1.0601 0.575 0.156 -0.427
H 0.8144 1.8267 -2.5269 -0.309 0.323 -0.345
H -0.0955 0.4546 -2.6705 -0.151 0.384 -0.121
H 1.4049 -0.0420 0.6536 -0.145 -0.346 0.161
H 3.4182 -0.0619 -0.6572 0.406 0.151 -0.139
H 3.2080 -0.3950 -2.4066 -0.327 -0.307 0.106
H 3.3306 1.2403 -1.9237 0.174 0.089 0.317
H -3.0234 0.2740 1.2319 0.118 0.039 0.246
H -2.5947 1.1652 2.5471 0.145 -0.319 -0.132

Record 3
22
Properties=species:S:1:pos:R:3:forces:R:3 method="wB97M-V/def2-TZVPD" e_lumo_ha="0.02889 / 0.02864" de_lowest_ev=3.903 gap_ev="7.9 / 8.1" total_charge=0 total_energy_ev=-9425.58105
C 1.2829 -0.0092 -0.2816 0.052 0.445 -0.012
C 1.2700 2.1086 -0.3466 -0.035 -0.344 -0.172
C 0.4790 -0.3998 -1.4853 0.003 -0.026 -0.015
C 2.3764 -0.9064 0.1984 0.023 -0.025 0.069
N 0.9401 1.0550 0.4943 0.016 -0.180 0.148
H 1.0232 1.0532 1.5101 0.029 -0.013 -0.125
H 2.2607 2.1446 -0.7755 0.007 -0.021 0.043
H 0.5395 2.8715 -0.5860 0.004 0.005 0.035
H 0.0778 -1.4161 -1.3504 0.036 0.052 0.010
H 1.0768 -0.4232 -2.4008 -0.019 0.012 0.057

But of course, service is about empowering all parties involved. The CSA puts forth extensive effort into making sure that communities hosting APU students do not become dependent on the service provided.

“We want to learn from the locals,” Shaw said. “Are they actually empowering the locals to run the ministries, or organizations? Because they are going to know how to do it better than we can. So that’s why it goes with the posture of what can we learn from you. And that’s one of the keys of good community development; you should be raising up people within the community to lead and help the community.”

Organizations from all over the globe look to partner with APU, and an extensive vetting process has been put in place to make the best use of limited resources. More and more, CSA staff personally travel to service site locations to see where the students will live, work and minister.

“First and foremost, we want to make sure this is going to be a mutually beneficial relationship, that it’s a reciprocal relationship,” said Karen Rouggly, the director for mobilization at the CSA.

Many of the dangers in short term missions result from an organization, or worse––the community they work with–– becoming dependent on aid that outside help tries to bring. Instead of empowering the local people to meet long term goals that they understand more intimately than any outsider could, a cycle begins where otherwise capable people choose simply to wait for help from others.

“We don’t want people to be dependent on us, we want people to create a dependency on Christ,” Rouggly said. “And so I think if we come in and out and in and out, it perpetuates that cycle of people becoming dependent on us for what we can provide for them, rather than looking to meet long-term goals and needs that we can’t do long term.”

This year, around 250 participants have already raised tens of thousands of dollars to travel to 27 locations all around the world, all seeking to give meaning to a few simple words: “The greatest among you must be your servant.”

_Calculated molecules, as found in the file_
'''
Entry from OMol25: a structure of composition C26H33As2N6O8RhS3 (ωB97M-V/def2-TZVPD).

Element x y z (Å)
Rh (-0.4325, 0.2064, 0.0408)
C (4.6498, 0.8471, 0.5887)
N (3.6175, 1.8770, 0.4831)
C (3.7558, 3.2051, 0.8420)
C (2.5789, 3.8061, 0.6240)
N (1.7079, 2.8350, 0.1081)
C (2.3719, 1.6492, 0.0505)
S (1.8171, 0.1295, -0.4562)
C (0.4099, 3.1616, -0.3466)
C (0.2259, 4.4446, -0.8490)
C (-1.0464, 4.8874, -1.1468)
C (-2.1131, 4.0346, -0.9164)
C (-1.8417, 2.7585, -0.4823)
N (-0.6030, 2.2904, -0.2407)
H (5.5764, 1.3230, 0.8946)
H (4.7945, 0.3649, -0.3753)
H (4.3515, 0.1040, 1.3257)
H (4.6760, 3.5954, 1.2383)
H (2.2651, 4.8121, 0.8278)
H (1.0821, 5.0804, -1.0153)
H (-1.1970, 5.8814, -1.5450)
H (-3.1359, 4.3341, -1.0915)
H (-2.6364, 2.0523, -0.3136)
C (-2.6882, -0.9519, 4.7003)
N (-1.9333, -0.1745, 3.7263)
C (-0.7637, -0.5114, 3.2309)
N (-0.1767, -1.6514, 3.5506)
S (0.1037, 0.6391, 2.2279)
H (-3.3811, -0.2872, 5.2076)
H (-2.0182, -1.3665, 5.4530)
H (-3.2507, -1.7575, 4.2261)
H (-2.3513, 0.6700, 3.3493)
H (-0.6132, -2.3506, 4.1318)
H (0.7033, -1.8755, 3.1135)
C (-5.9823, 2.8433, 2.3227)
O (-5.7515, 1.9377, 1.2189)
C (-4.6139, 1.2832, 1.1838)
O (-3.7069, 1.4325, 1.9855)
C (-4.5204, 0.2532, 0.1117)
C (-5.5410, -0.1439, -0.6540)
As (-5.6253, -1.8377, -1.6394)
C (-6.6109, -1.2578, -3.2222)
C (-3.8153, -1.7778, -2.3720)
C (-2.7581, -1.3886, -1.6640)
As (-2.8003, -0.6454, 0.1218)
C (-3.1613, -2.2151, 1.2198)
C (-1.4069, -1.4053, -2.2835)
O (-0.8905, -2.2819, -2.8800)
O (-0.7376, -0.1520, -2.1190)
C (-1.3369, 0.8408, -2.9983)
C (-3.6726, -2.0797, -3.8456)
O (-3.5367, -1.1528, -4.5982)
O (-3.7876, -3.3257, -4.2666)
C (-3.6662, -4.4108, -3.3259)
C (-6.8928, 0.5118, -0.6567)
O (-7.8412, 0.0291, -0.1020)
O (-6.8889, 1.6091, -1.4027)
C (-8.1680, 2.2768, -1.5079)
H (-7.0599, 2.9161, 2.4197)
H (-5.5537, 3.8137, 2.0834)
H (-5.5346, 2.4505, 3.2306)
H (-7.6467, -1.0972, -2.9274)
H (-6.5847, -2.0749, -3.9427)
H (-6.1851, -0.3611, -3.6647)
H (-4.1894, -2.1845, 1.5757)
H (-2.4583, -2.2373, 2.0461)
H (-2.9980, -3.1019, 0.6120)
H (-0.6372, 1.6702, -3.0435)
H (-2.3070, 1.1627, -2.6184)
H (-1.4620, 0.4009, -3.9856)
H (-3.5573, -5.3051, -3.9297)
H (-4.5657, -4.4971, -2.7148)
H (-2.7805, -4.2813, -2.7054)
H (-7.9726, 3.1995, -2.0420)
H (-8.5672, 2.4736, -0.5161)
H (-8.8648, 1.6522, -2.0624)
S (1.2452, -4.0544, -0.1542)
C (0.4054, -2.7383, 0.0985)
N (-0.2741, -1.7863, 0.3247)

Cartesian forces (eV/Å) of the 2 atoms listed first:
0.0090 -0.3664 -0.0869
0.0183 -0.0035 -0.0085

Values from the calculation:
- net charge = +2
- HOMO energy (eV) = -13.061

Here are the Mulliken charges for atoms 1 to 6, given in e:
1 Rh 0.65
2 C -0.87
3 N 0.22
4 C -0.61
5 C -0.52
6 N 0.50



Entry from OMol25: a structure of composition C26H33Br12FO12 at a distorted geometry (ωB97M-V/def2-TZVPD).

Element x y z (Å)
C (-0.6516, -3.0391, -3.1703)
C (0.3616, -3.0643, -2.0623)
C (1.0767, -4.4089, -1.8894)
O (2.4389, -4.0579, -1.6601)
C (2.6279, -2.7574, -1.9839)
O (3.6668, -2.1924, -1.9073)
'''
_Back to the page_

“The end goal is really just to serve God and serve the kingdom,” said Colie Krueger, CSA’s program coordinator for local engagements. “And you can do that on short trips, you can do that in local engagements, or you can do it in ongoing service.”